
Does Betsy DeVos Think Public School Teachers Are Overpaid? She's A School Choice Activist
Trump's pick of billionaire Betsy DeVos as Secretary of Education in his upcoming administration shows education reform is one area where he plans to deliver on his campaign promises. In fact, DeVos is about as hard-line as it gets when it comes to taking the position that schools ought to be privatized and that teacher unions are largely to blame for their failure. Does Betsy DeVos think public school teachers are underpaid? She used her fortune and influence in Michigan to weaken teachers unions and rights, and instituted a voucher program that re-directed millions of dollars from public schools to private, religious, and charter schools, according to Mother Jones.
DeVos is the daughter of Richard DeVos, the founder of Amway, according to Mother Jones, a company John Oliver recently eviscerated on Last Week Tonight as a a "pyramid scheme." Richard DeVos was a long time fundraiser for GOP stars like Ronald Reagan, according to Mother Jones, and Betsy has followed in her father's footsteps, devoting herself to not just fundraising, but also education reform.
School choice ties school funding to the student, as Vox explained, but DeVos advocates for school vouchers, which lets students and parents choose to take money out of the public school system and instead give it to a private or religious school. The effect of is that there's less money goes to public schools and public school teachers.
It's something she's long advocated across the country, and in her home state of Michigan.
Here's what DeVos wrote in an Op-Ed for the Detroit News:
Rather than create a new traditional school district to replace the failed DPS, we should liberate all students from this woefully under-performing district model and provide in its place a system of schools where performance and competition create high-quality opportunities for kids. We shouldn’t create a new district that is nothing more than a DPS retread. Absent urgent and serious reforms, the new district will only continue the downward spiral of poor academic performance, declining enrollment and financial instability we’ve seen for decades from DPS.
In Michigan, thanks to DeVos' work, now more than 80 percent of charter schools are run by for-profit companies with little state oversight, according to Mother Jones.
And the results of voucher programs across the country aren't good. According to Slate, kids in New Orleans who used a private school voucher lost 13 percentage points in their math learning scores. And students in Louisiana and Ohio who attended school on a voucher program also under-performed compared to kids in public schools.
DeVos also worked to break unions with "Right to Work" laws that were passed in her home state of Michigan in 2012. According to Mother Jones, Michigan's teachers are now banned from striking over working conditions thanks to the new law. For example, Detroit teachers who recently staged a strike in protest of pay cuts, terrible school facility conditions, and growing class sizes had to use their sick days, Mother Jones reported.
Teachers Union President Randi Weingarten reacted to DeVos' appointment to Secretary of Education by President-elect Trump in a statement:
In nominating DeVos, Trump makes it loud and clear that his education policy will focus on privatizing, defunding and destroying public education in America.
DeVos has no meaningful experience in the classroom or in our schools. The sum total of her involvement has been spending her family’s wealth in an effort to dismantle public education in Michigan. Every American should be concerned that she would impose her reckless and extreme ideology on the nation.
The piece is interrupted by records of crystals.
┌──
ScBeCuSb | PBE-GGA | relaxed

Output
Crystal system: cubic

abc: 6.452 6.452 6.452
angles: 90.00 90.00 90.00
Space group F-43m (No. 216)
One atom of each set of equivalent atoms:
Sc 0.000 0.000 0.000 x4
Be 0.250 0.250 0.250 x4
Cu 0.250 0.250 0.750 x4
Sb 0.000 0.000 0.500 x4

ScBeCuSb | PBE-GGA | relaxed

Output
Crystal system: cubic

abc: 6.507 6.507 6.507
angles: 90.00 90.00 90.00
Space group F-43m (No. 216)
One atom of each set of equivalent atoms:
Sc 0.000 0.000 0.000 x4
Be 0.250 0.250 0.750 x4
Cu 0.000 0.000 0.500 x4
Sb 0.250 0.250 0.250 x4

BeZnCuSb | PBE-GGA | relaxed

Output
Crystal system: cubic

abc: 6.356 6.356 6.356
angles: 90.00 90.00 90.00
Space group F-43m (No. 216)
One atom of each set of equivalent atoms:
Be 0.000 0.000 0.000 x4
Zn 0.250 0.250 0.750 x4
Cu 0.000 0.000 0.500 x4
Sb 0.250 0.250 0.250 x4

Computed values of excess energy over the best structure of this formula in the dataset (unit: meV per atom) for the preceding records, in sequence: 0, 60, 0.

~~~~~

The following is a DFT calculation (GGA+U) of crystalline PmCr4Cu3O12 at its relaxed geometry.

Properties
final energy = -138.90 eV/f.u.

abc: 6.428 6.428 6.428
angles: 109.47 109.47 109.47
Element x y z (fractional)
Cr  0.500  0.500  0.500
Cr  0.000  0.500  0.000
Cr  0.500  0.000  0.000
Cr  0.000  0.000  0.500
O  0.141  0.309  0.833
O  0.309  0.167  0.476
O  0.167  0.859  0.691
O  0.833  0.524  0.691
O  0.691  0.167  0.859
O  0.167  0.476  0.309
O  0.309  0.833  0.141
O  0.833  0.141  0.309
O  0.524  0.691  0.833
O  0.859  0.691  0.167
O  0.691  0.833  0.524
O  0.476  0.309  0.167
Pm  0.000  0.000  0.000
Cu  0.000  0.500  0.500
Cu  0.500  0.000  0.500
Cu  0.500  0.500  0.000

~~~~~

[1]
Compound: Nb2GePBr
Source: Alexandria via LeMat-Bulk
Functional: PBE-GGA
Structure: optimized geometry

```
data_Nb2GePBr
_chemical_formula_sum 'Nb2 Ge1 P1 Br1'
_symmetry_space_group_name_H-M 'P 1'
_symmetry_Int_Tables_number 1
_cell_length_a 4.824
_cell_length_b 4.706
_cell_length_c 4.824
_cell_angle_alpha 90.00
_cell_angle_beta 90.00
_cell_angle_gamma 90.00
loop_
_symmetry_equiv_pos_as_xyz
'x,y,z'
loop_
_atom_site_label
_atom_site_fract_x
_atom_site_fract_y
_atom_site_fract_z
P1 0.000 0.500 0.000
Br1 0.000 0.000 0.000
Nb1 0.500 0.000 0.000
Nb2 0.000 0.000 0.500
Ge1 0.500 0.500 0.500
```

Final energy = -4.913 eV per atom
Space group = No. 123
Crystal system = tetragonal
Total magnetization = 0.00 Bohr magnetons per cell

[2]
Compound: NbGeSe2Br
Source: Alexandria via LeMat-Bulk
Functional: PBE-GGA
Structure: optimized geometry

```
data_NbGeSe2Br
_chemical_formula_sum 'Nb1 Ge1 Se2 Br1'
_symmetry_space_group_name_H-M 'P 1'
_symmetry_Int_Tables_number 1
_cell_length_a 5.032
_cell_length_b 5.032
_cell_length_c 5.006
_cell_angle_alpha 90.00
_cell_angle_beta 90.00
_cell_angle_gamma 90.00
loop_
_symmetry_equiv_pos_as_xyz
'x,y,z'
loop_
_atom_site_label
_atom_site_fract_x
_atom_site_fract_y
_atom_site_fract_z
Ge1 0.000 0.000 0.000
Nb1 0.500 0.500 0.500
Se1 0.000 0.500 0.000
└──
So while DeVos doesn't appear to have spoken out directly about teacher pay being too high, the policies she has advocated in the past, and will be in a position to put into place as Secretary of Education, are unlikely to do much to help public schools or boost public school teacher pay.